
Perhaps one of my biggest challenges with minimal living, has been exploring the ways in which it has affected my mindset around scarcity. In separating them completely. Of course they are different, I have certainly not been experiencing a scarcity of meaningful interactions, or beautiful moments of connection. The things that really matter. Minimal living, creates more time for these things.


But having grown up in an environment of scarcity, it was an easy transition in living with less things, aiming to live, with the things that you need, not want. It's a work in progress for me, Minimal living. It's not always easy to let go. There are some things I hold onto. Books been one of them, I have a love for them and growing up, I never had many. I would get library books instead. Which of course was great, but I dreamed of having my own library one day.

That to me, was a sign of success in life. To have my own little library, which I kind of have. They are the one thing that I have in excess. My books. Even though I don't have that many, I've no desire to part with them and yes there are a few more that I would like, not novels though. Books that empower and educate me. That enrich my life.

The main thing for me was to move away from being dependent on money. To take responsibility for my own life. It took me a long time to understand that money could be of service to my life and not something that corrupt one's life. Of course it has the potential too, if you are not mindful about the way in which you use it. It was easy for me to not value money. To scorn it even, as the root of many of the world's problems.


Growing up in scarcity, in a scarcity of emotional well being, left me feeling unworthy. So it was easier for me to see money as being bad, because deep down I didn't believe I deserved to have anything in service of my life. It was what I was used to, what I grew up with. Not feeling loved or supported in my own home.

So having less, was always easy for me, but not always for the right reasons. I have been wronging on that, these last few years. There is not much I would change with my life, but there are some things I will change and they need money. Money which is in service of my life. That will aid me, in providing for myself and my girls.

This is my response, to the following question, from the Minimalsit community.....

Ask yourself which part of your human experience is in dire need of transformation. And how is your minimalist practice helping (or hindering) you?

(The photos in this post are mine.)

 24 days ago  

Minimalist Cover Gif-5.jpg

 24 days ago  

It's certainly not the it? :)Scarcity and minimal living, and personally, I think you're still being true to yourself and your principles if you're finding ways to provide for your girls. How could you not be?
This is lovely. I'm glad to see you around!!

Thank you lovely.
I'm trying to be more active on here, also trying to re connect with some lovely folk as well, yourself included xxx

+++
Compound: TbHoFe4
Source: the Materials Project database
Functional: PBE-GGA
Structure: relaxed

a b c (Å): 5.1519 5.1519 5.1519
angles (deg): 60.00 60.00 60.00
Positions (direct):
Tb (0.0000, 0.0000, 0.0000)
Ho (0.7500, 0.7500, 0.7500)
Fe (0.3750, 0.3750, 0.3750)
Fe (0.3750, 0.3750, 0.8750)
Fe (0.3750, 0.8750, 0.3750)
Fe (0.8750, 0.3750, 0.3750)

Calculated total energy in eV per atom: -7.26
ΔH_f (0 K) in kcal/mol of atoms: -1.77
+++
The entry goes on:

Living in scarcity and living minimally are very different animals indeed. I've never had much fiat money for most of my life, and while I did feel a lot of frustration around that, now I'm grateful that I am able to get by with so little of it. It helps me stay under the radar, so to speak. I also struggled, and still do somewhat, with not feeling worthy of having so much. Now, as long as I can cover my needs, with some overflow for important things that I want, I'm fine. What I'm building and growing here on Hive will soon eclipse anything that I've made in fiat, and I'm deeply grateful for that.

Oh books. I collected a great many of them growing up, and through the earlier portion of my life, and I've always had a deep love for them. Now, after having let my library go, I realize that I no longer need them, even though my appreciation for them is the same. Meaningful human connections and relationships are what I desire most now.

I wish you and your girls and an exceptionally excellent new week, @trucklife-family! 😁🙏💚✨🤙


Thank you @tydynrain, sounds like we have lived similar lives. I have never had much fiat money either, yet it does flow when I need it, just enough. I'm trying to move out of this mindset of just having enough, for my girls mostly, as I want them to be able to explore different things and unfortunately some of those things need money.
Thanks so much for all the support xxxx

Of course, @trucklife-family, you're always most welcome! It would appear so, yes, I've noticed! I do very much understand wanting more resources to be able to provide greater opportunities for your girls, and I wish you immense success in that! You're so very welcome again, and it's my honor, pleasure, and privilege to help support you, even in this small way! 😁 🙏 💚 ✨ 🤙


@trucklife-family! @tydynrain Loves walking/running, and wants to motivate your stride as well! so I just sent 0.1 STR to your account on behalf of @tydynrain.

Keep your stride high!

Stride Logo

@trucklife-family! @tydynrain Totally agrees with your content! so I just sent 1 IDD to your account on behalf of @tydynrain.

Indeed Logo

********
Entry 1:
{"formula": "ZnH6C2N2Cl4", "functional": "PBE-GGA", "state": "optimized geometry", "crystal_system": "monoclinic", "lattice_angstrom": [[-6.381, 7.229, -8.934], [2.033, -4.862, -5.387], [-10.883, -8.152, 1.177]], "species": ["H", "H", "H", "C", "Cl", "Cl", "Cl", "H", "Cl", "N", "N", "Cl", "N", "Cl", "N", "H", "C", "H", "Zn", "H", "H", "H", "Cl", "H", "N", "C", "Cl", "Cl", "H", "Cl", "Cl", "H", "H", "H", "C", "H", "H", "N", "Zn", "Cl", "C", "H", "Zn", "H", "H", "H", "Cl", "H", "Zn", "Cl", "C", "C", "H", "H", "N", "Cl", "Cl", "H", "N", "C"], "fractional_positions": [[0.621, 0.475, 0.958], [0.174, 0.142, 0.907], [0.877, 0.675, 0.170], [0.107, 0.227, 0.894], [0.903, 0.496, 0.904], [0.627, 0.993, 0.349], [0.403, 0.504, 0.596], [0.357, 0.791, 0.374], [0.127, 0.007, 0.151], [0.938, 0.054, 0.626], [0.851, 0.725, 0.357], [0.627, 0.214, 0.718], [0.649, 0.725, 0.857], [0.597, 0.496, 0.404], [0.062, 0.946, 0.374], [0.857, 0.209, 0.126], [0.393, 0.227, 0.394], [0.326, 0.142, 0.407], [0.586, 0.738, 0.294], [0.623, 0.675, 0.670], [0.379, 0.525, 0.042], [0.123, 0.325, 0.830], [0.612, 0.651, 0.145], [0.643, 0.209, 0.626], [0.438, 0.946, 0.874], [0.866, 0.594, 0.409], [0.373, 0.786, 0.282], [0.112, 0.349, 0.355], [0.462, 0.151, 0.378], [0.388, 0.349, 0.855], [0.873, 0.214, 0.218], [0.826, 0.858, 0.093], [0.962, 0.849, 0.122], [0.879, 0.475, 0.458], [0.634, 0.594, 0.909], [0.674, 0.858, 0.593], [0.143, 0.791, 0.874], [0.351, 0.275, 0.143], [0.914, 0.738, 0.794], [0.097, 0.504, 0.096], [0.893, 0.773, 0.106], [0.594, 0.706, 0.540], [0.414, 0.262, 0.706], [0.377, 0.325, 0.330], [0.038, 0.151, 0.878], [0.094, 0.294, 0.960], [0.127, 0.786, 0.782], [0.121, 0.525, 0.542], [0.086, 0.262, 0.206], [0.373, 0.007, 0.651], [0.366, 0.406, 0.091], [0.134, 0.406, 0.591], [0.906, 0.706, 0.040], [0.538, 0.849, 0.622], [0.562, 0.054, 0.126], [0.888, 0.651, 0.645], [0.873, 0.993, 0.849], [0.406, 0.294, 0.460], [0.149, 0.275, 0.643], [0.607, 0.773, 0.606]]}

***

Entry 2:
{"formula": "Ce2NiSn4", "functional": "PBE-GGA", "state": "optimized geometry", "crystal_system": "orthorhombic", "lattice_angstrom": [[0.513, 0.577, -8.865], [-4.554, -1.981, 7.384], [-1.538, 4.227, 0.186]], "species": ["Sn", "Sn", "Ce", "Sn", "Ce", "Ni", "Sn"], "fractional_positions": [[0.241, 0.759, 0.500], [0.742, 0.258, 0.000], [0.105, 0.895, 0.000], [0.455, 0.545, 0.000], [0.896, 0.104, 0.500], [0.311, 0.689, 0.000], [0.566, 0.434, 0.500]]}

***

Entry 3:
********
-- End of the calculated crystals --

@trucklife-family! @tydynrain Wants to spread Hope! so I just sent 1 HOP to your account on behalf of @tydynrain.

Since we think the world can use more Hope, you can now already start spreading Hope yourself!

Hope Logo

@tydynrain just sent you a DIY token as a little appreciation for your comment dear @trucklife-family! Feel free to multiply it by sending someone else !DIY in a comment :) You can do that x times a day depending on your balance so:

Don't be shy - share some DIY!

You can query your personal balance by !DIYSTATS

@trucklife-family! @tydynrain Totally agrees with your content! so I just sent 1 IDD to your account on behalf of @tydynrain.

Indeed Logo

@tydynrain just sent you a DIY token as a little appreciation for your post dear @trucklife-family! Feel free to multiply it by sending someone else !DIY in a comment :) You can do that x times a day depending on your balance so:

Don't be shy - share some DIY!

You can query your personal balance by !DIYSTATS

Here's part of my library :-)

Oh My God!! Sidney Sheldon is my favorite author of all time!!
And The Sands of Time was the first of his books I read ( I eventually read them all 😅)

Your library looks amazing.

The books are in such excellent condition! I'm already sold seeing that Shock Wave.🥹

That's a great looking library I hope you are well xxx

I do understand how it is indeed. How you would feel undeserving of certain things since it had always been a primary lack in your childhood. I wish a lot of good things come to you and your girls, friend. You deserve it...and more.🌺

Ah thank you @jhymi, It's always lovely to connect with you. I hope you are doing well my friend xxx

@trucklife-family! @tydynrain Wants to spread Hope! so I just sent 1 HOP to your account on behalf of @tydynrain.

Since we think the world can use more Hope, you can now already start spreading Hope yourself!

Hope Logo

Living in scarcity, over here, is a death sentence. But you gotta love life and its diverse ways. In this third world country, I have grown with very less. Worked for even lesser, but having any less would spell disaster. Very easy to be taken advantage of. I don’t even know if I’m making sense.

But anyway, I have accepted that I need money to make any sort of impact in this world and sadly, I don’t have much of it but fortunately, I’ve learned to live life even without it

You are making a lot of sense. I understand that there are many that are just surviving with regards to the money they are able to make. Thank you for sharing, your experience. I love how you have said that regardless you have to love life and that is true. Gratitude is so important xxx

Nice piece

Coming from a home where money was not in abundance, I understand how it is safer to shun the idea of money and not think so much about it. But growing is realizing that money is only an amplifier. If you have bad qualities, money will only allow you express them openly. If you are filled with good qualities, money will bring them out to the public.

So money isn't necessarily the problem, it's just something that Brings out the problem, if there is one.

Exactly, thank you @zitalove. Money is only an amplifier xxx